‹ Prequel: Earthquake

The Picture Of Glory and Grey

Keep the Faith

I am depression.

I am the sadness that creeps under your skin.
I am the dark blood that streams down your face as if I were salty, wet tears.
I am the dead sharp knife plunging through your racing heart when someone says ‘say cheese’ for a picture on which you always look like a two hundred year old zombie.
I am the addiction through which you dig your own grave.
I am self-destruction.

I am the hero who will always let you down. Member of My Chemical Romance.

“I want to fly to this… this place where people are happy, where everyone’s happy. You and I, we’ll be happy too! Come and fly with me!”

“People can’t fly, Gerard. You’ll crash.”

“That’s the point.”

Unrelated to this page: crystal structures =
For Nd2Al6Ni3, DFT lattice parameters and positions (GGA-PBE) gives the simulated powder X-ray diffraction pattern in this record (Cu Ka).
No peak broadening, texture or thermal motion is included.

Top 10 peaks for 10 to 90 degrees two-theta, in order of rising 2θ:
index, Position (°2θ), I/Imax
1 0 0, 13.55, 26.5
1 1 0, 23.58, 24.6
1 1 1, 32.27, 100.0
2 0 1, 35.14, 17.5
3 0 0, 41.45, 37.6
2 1 1, 42.76, 25.7
0 0 2, 44.27, 16.3
2 2 1, 53.48, 20.6
3 0 2, 62.25, 21.9
4 1 1, 69.84, 22.8

Structural model:
abc: 7.5471 7.5471 4.0923
angles: 90.00 90.00 120.00
Sites, in units of the cell vectors:
Nd (0.3333, 0.6667, 0.0000)
Nd (0.6667, 0.3333, 0.0000)
Al (0.0000, 0.2987, 0.5000)
Al (0.0000, 0.7975, 0.0000)
Al (0.2025, 0.2025, 0.0000)
Al (0.2987, 0.0000, 0.5000)
Al (0.7013, 0.7013, 0.5000)
Al (0.7975, 0.0000, 0.0000)
Ni (0.0000, 0.6331, 0.5000)
Ni (0.3669, 0.3669, 0.5000)
Ni (0.6331, 0.0000, 0.5000)

* * * * *

Structure and theoretical X-ray powder pattern of In2Co2O7 (a crystal structure in Alexandria, relaxed with GGA+U; CuKα).
No peak broadening, texture or thermal motion is included.

Cell and atoms:
```
In2Co2O7
1.0
0.0000 4.8587 4.8587
4.8587 0.0000 4.8587
4.8587 4.8587 0.0000
In Co O
4 4 14
Cartesian
0.0000 0.0000 0.0000
2.4294 2.4294 0.0000
2.4294 0.0000 2.4294
0.0000 2.4294 2.4294
4.8587 2.4294 2.4294
2.4294 4.8587 2.4294
2.4294 2.4294 4.8587
4.8587 4.8587 4.8587
1.2147 1.2147 1.2147
3.6441 3.6441 1.6681
3.6441 1.6681 3.6441
5.6200 3.6441 3.6441
6.0734 6.0734 4.0975
6.0734 4.0975 6.0734
8.0494 6.0734 6.0734
1.6681 3.6441 3.6441
3.6441 5.6200 3.6441
3.6441 3.6441 5.6200
4.0975 6.0734 6.0734
6.0734 8.0494 6.0734
6.0734 6.0734 8.0494
8.5028 8.5028 8.5028
```

Main lines, in order of rising 2θ (2θ from 5° to 70°):
| 2θ/deg | I (rel.) |
| --- | --- |
| 31.90 | 100 |
| 37.00 | 27 |
| 40.46 | 11 |
Back to the page =

Meet me.
I am the man who’s special.
I am extraordinary.
I am Wolverine in a human form. In a perfect form, too.
I am a human, with X-men powers and no flaws at all.
But I am forever disappointing.

I am change.

“What happened to the forever daydreaming Gerard?”

“I’m sick of chasing stupid childish dreams that died a very long time ago.”

“But why did you throw away all your action figures. You used to even kiss them goodnight every time you went to bed!”

“The child in me has died.”

It is dead. It’s dead and gone and buried and rotten and torn to pieces inside of me. It once was there but now it’s gone. Gone with the wind.

Deal with it.

There is no such thing as a child in me anymore. It was brutally murdered. People like you slowly stabbed it to death. The poor thing was left alone to slowly and painfully bleed to death. It’s people like you that are cruel murderers.

There is no such thing as a child in me.

I was a man who was forced to grow up too soon. My body was thirty-one, but deep inside I had always been a child. Until it decided to be killed.

That was what people recognised in me, that was what created a bond, a connection between us. We were nothing more than a bunch of kids, from 10 to 40 years old, who had had to grow up too soon.

And one day, these people turned their back on me, saying I’d become too … mature.
They gave the child in me the final stab.

There I stood, looking at my pale reflection in the mirror.

“Gotta make myself so pretty, so pretty pretty for the show,” I said happily. “So pretty. So so so pretty pretty pretty pretty. So pretty.”

I could simply never get enough of the black coal circles around my eyes, so I kept drawing more and bigger ones around them, until I looked like a thin, tiny Giant Panda. When I realised this, I knew I had to finish off the look.

I grabbed whitener and plenty of eyeliner while I struggled to get out of my clothes – they were very un-panda.

“I’ll be the Panda King and maybe tonight I’ll find my Panda Queen, at last!”

Contented with my Panda look, I danced around happily, as the white and black of my newfound, unclothed Panda skin darted with me.

“This is happiness!” I sang. I jumped onto the couch and then onto a desk, feeling superior. “I am the Panda King!”

I ran down the corridors, singing “I am the Panda King!”

After creating a Panda King dance, I dropped myself in the floor only to burst out in hysterical laughter.

Thousands of frightened eyes watched my antics, shaking their heads as they thought about how much I had changed.

Had I really? Maybe it was just them who had changed.
I do believe it was them who changed.

I am not really a different person that who I was before. I’ve just learnt how to enjoy life again after having to face so many liars and backstabbers. It was hard, for sure, but I’ve become a better person, haven’t I?
I think I have.

The world is emptiness.
It is darkness and terror.
It is tears and fears.
It is bleeding hearts and bodies.
It is forgetfulness.
It is lost hope and lost faith.

I am insanity and the long forgotten endless love for one five-pieced band.